[1]
PBE LiAgW2, relaxed; SG = F-43m; VASP energy = -7.0088 eV/atom
1.0
0.000 3.161 3.161
3.161 0.000 3.161
3.161 3.161 0.000
Li Ag W
1 1 2
Cartesian
0.000 0.000 0.000
1.581 1.581 1.581
3.161 3.161 3.161
4.742 4.742 4.742

=====

[2]
PBE LiYAg, relaxed; SG = F-43m; polymorph energy (0 for the lowest one) = 0.0 meV per atom; VASP energy = -3.7257 eV/atom
1.0
0.000 3.369 3.369
3.369 0.000 3.369
3.369 3.369 0.000
Li Y Ag
1 1 1
Cartesian
0.000 0.000 0.000
3.369 3.369 3.369
1.685 1.685 1.685

=====

[3]
PBE LiZnAg2, relaxed; SG = Pnma; VASP energy = -2.3007 eV/atom
1.0
7.704 0.000 0.000
0.000 8.038 0.000
0.000 0.000 4.445
Li Zn Ag
4 4 8
Cartesian
0.001 2.010 0.003
7.703 6.029 4.442
3.853 2.010 2.219
3.851 6.029 2.226
1.284 2.010 2.225
2.568 6.029 0.002
5.136 2.010 4.443
6.420 6.029 2.220
1.284 4.662 2.219
1.284 7.395 2.219
2.568 0.643 4.442
2.568 3.376 4.442
5.136 4.662 0.003
5.136 7.395 0.003
6.420 0.643 2.226
6.420 3.376 2.226

=====

[4]
PBE LiZnAg2, relaxed; SG = P4/mmm; VASP energy = -2.3590 eV/atom
1.0
3.222 0.000 0.000
0.000 3.222 0.000
0.000 0.000 6.109
Li Zn Ag
1 1 2
Cartesian
0.000 0.000 0.000
0.000 0.000 3.054
1.611 1.611 1.513
1.611 1.611 4.596

=====

[5]
PBE LiZnAg2, relaxed; SG = P6_3/mmc; VASP energy = -2.3051 eV/atom
1.0
4.496 0.000 0.000
-2.248 3.894 0.000
0.000 0.000 8.253
Li Zn Ag
2 2 4
Cartesian
0.000 2.596 2.063
2.248 1.298 6.190
0.000 0.000 0.000
0.000 0.000 4.127
0.000 2.596 4.791
0.000 2.596 7.588
2.248 1.298 0.665
2.248 1.298 3.462

=====

[6]
PBE Li2Zn2Ag, relaxed; SG = C2/m; VASP energy = -2.0427 eV/atom
1.0
4.252 -2.007 0.000
4.252 2.007 0.000
-3.984 0.000 4.378
Li Zn Ag
2 2 1
Cartesian
1.302 0.000 0.484
3.219 0.000 3.895
0.587 0.000 3.090
3.934 0.000 1.289
-1.992 0.000 2.189

=====

[7]
PBE LiZn4Ag, relaxed; SG = Amm2; VASP energy = -1.7627 eV/atom
1.0
4.410 0.000 0.000
0.000 4.160 2.410
0.000 -4.160 2.410
Li Zn Ag
1 4 1
Cartesian
0.000 0.000 0.000
0.000 -1.438 2.472
0.000 1.438 2.472
2.205 -1.376 4.006
2.205 1.376 4.006
2.205 0.000 1.581

=====

[8]
PBE Li2ZnAg, relaxed; SG = F-43m; VASP energy = -2.1935 eV/atom
1.0
0.000 3.113 3.113
3.113 0.000 3.113
3.113 3.113 0.000
Li Zn Ag
2 1 1
Cartesian
0.000 0.000 0.000
1.557 1.557 1.557
4.670 4.670 4.670
3.113 3.113 3.113

=====

[9]
PBE LiZnAg2, relaxed; SG = P6_3/mmc; VASP energy = -2.3002 eV/atom
1.0
4.481 0.000 0.000
-2.241 3.881 0.000
0.000 0.000 8.051
Li Zn Ag
2 2 4
Cartesian
0.000 0.000 0.000
0.000 0.000 4.026
0.000 2.587 2.013
2.241 1.294 6.038
0.000 2.587 4.688
0.000 2.587 7.389
2.241 1.294 0.662
2.241 1.294 3.363

=====

[10]
PBE LiZnAg2, relaxed; SG = P4/mmm; VASP energy = -2.3872 eV/atom
1.0
4.187 0.000 0.000
0.000 4.187 0.000
0.000 0.000 3.627
Li Zn Ag
1 1 2
Cartesian
0.000 0.000 0.000
2.093 2.093 0.000
0.000 2.093 1.813
2.093 0.000 1.813

=====

[11]
PBE LiZnAg2, relaxed; SG = I4/mmm; VASP energy = -2.3995 eV/atom
1.0
-2.227 2.227 3.180
2.227 -2.227 3.180
2.227 2.227 -3.180
Li Zn Ag
1 1 2
Cartesian
0.000 0.000 0.000
0.000 0.000 3.180
2.227 0.000 1.590
0.000 2.227 1.590

=====

[12]
PBE LiZnAg2, relaxed; SG = P6_3/mmc; VASP energy = -2.3013 eV/atom
1.0
4.446 0.000 0.000
-2.223 3.851 0.000
0.000 0.000 8.044
Li Zn Ag
2 2 4
Cartesian
0.000 0.000 2.011
0.000 0.000 6.033
0.000 2.567 2.011
2.223 1.284 6.033
0.000 2.567 4.667
0.000 2.567 7.399
2.223 1.284 0.645
2.223 1.284 3.377

=====

[13]
PBE Li2ZnAg, relaxed; SG = F-43m; VASP energy = -2.1958 eV/atom
1.0
0.000 3.130 3.130
3.130 0.000 3.130
3.130 3.130 0.000
Li Zn Ag
2 1 1
Cartesian
0.000 0.000 0.000
1.565 1.565 1.565
3.130 3.130 3.130
4.695 4.695 4.695

=====

[14]
PBE LiZnAg2, relaxed; SG = F-43m; VASP energy = -2.3497 eV/atom
1.0
0.000 3.203 3.203
3.203 0.000 3.203
3.203 3.203 0.000
Li Zn Ag
1 1 2
Cartesian
0.000 0.000 0.000
4.804 4.804 4.804
1.601 1.601 1.601
3.203 3.203 3.203

=====

[15]
PBE Li2ZrAg, relaxed; SG = F-43m; VASP energy = -3.6655 eV/atom
1.0
0.000 3.275 3.275
3.275 0.000 3.275
3.275 3.275 0.000
Li Zr Ag
2 1 1
Cartesian
0.000 0.000 0.000
1.637 1.637 1.637
3.275 3.275 3.275

Please count the lines above that contain the word "I4" and give the number alone.

1